Chapter 84

Yang He, accompanied by three people, left the hall. Throughout the journey, he endured the constant gaze of someone and couldn't bear it any longer. He turned to Qin Feng and asked, "Why have you been staring at me?"


"I just want to see what color the hearts of the people from the Qiyuan City Demon Slayer's Department have." Qin Feng said leisurely.


Yang He sighed helplessly, "The True Manifestation Of Life Source is not something ordinary. Even in the Demon Slayer's Division's inventory, apart from the one I used, there are only two items that can be compared with it. Such precious things, Lord Zhou naturally does not want to part with."


Qin Feng raised his eyebrows at this revelation. He hadn't expected that the snake scale that Sister Mo gave him was such a precious item.


Sister Mo is really kind to me. After dealing with things here, I must go back to the Black Mist Forest and express my gratitude to her. Maybe I can ask for another scale. Qin Feng shamelessly thought to himself.

Calculated crystals that have nothing to do with the page =
<<<
(1)
# Ce2SiTeO4
Simulated XRD peak list, Cu Kα, 1.54184 Å. Input: a DFT-relaxed cell (PBE, the Materials Project).
Lines closer than 0.1° are merged.

Atomic structure:
a b c (Å): 6.4111 7.2906 11.3150
angles (deg): 90.00 90.00 90.00
Positions (direct):
Ce (0.1101, 0.2500, 0.0000)
Ce (0.1101, 0.2500, 0.5000)
Ce (0.3878, 0.5392, 0.2500)
Ce (0.3878, 0.9608, 0.7500)
Ce (0.6122, 0.0392, 0.2500)
Ce (0.6122, 0.4608, 0.7500)
Ce (0.8899, 0.7500, 0.0000)
Ce (0.8899, 0.7500, 0.5000)
Si (0.3863, 0.7500, 0.0000)
Si (0.3863, 0.7500, 0.5000)
Si (0.6137, 0.2500, 0.0000)
Si (0.6137, 0.2500, 0.5000)
Te (0.0980, 0.5711, 0.7500)
Te (0.0980, 0.9289, 0.2500)
Te (0.9020, 0.0711, 0.7500)
Te (0.9020, 0.4289, 0.2500)
O (0.2324, 0.5781, 0.0359)
O (0.2324, 0.5781, 0.4641)
O (0.2324, 0.9219, 0.5359)
O (0.2324, 0.9219, 0.9641)
O (0.4533, 0.2296, 0.6150)
O (0.4533, 0.2296, 0.8850)
O (0.4533, 0.2704, 0.1150)
O (0.4533, 0.2704, 0.3850)
O (0.5467, 0.7296, 0.6150)
O (0.5467, 0.7296, 0.8850)
O (0.5467, 0.7704, 0.1150)
O (0.5467, 0.7704, 0.3850)
O (0.7676, 0.0781, 0.0359)
O (0.7676, 0.0781, 0.4641)
O (0.7676, 0.4219, 0.5359)
O (0.7676, 0.4219, 0.9641)

Top 10 peaks for 10 to 90 degrees two-theta, most intense first:
| 2θ/deg | d (Å) | Rel. int. |
| --- | --- | --- |
| 29.14 | 3.064 | 100 |
| 31.50 | 2.840 | 74 |
| 31.63 | 2.829 | 56 |
| 38.89 | 2.316 | 42 |
| 34.43 | 2.605 | 32 |
| 24.28 | 3.667 | 29 |
| 54.81 | 1.675 | 24 |
| 29.27 | 3.051 | 24 |
| 67.09 | 1.395 | 20 |
| 39.66 | 2.272 | 20 |

***

(2)
# K4SnTe2Se2
Simulated XRD peak list, Cu Kα, 1.54184 Å. Input: a DFT-relaxed cell (PBE, the Materials Project).
Lines closer than 0.1° are merged.

Atomic structure:
a b c (Å): 15.2458 10.8345 8.5655
angles (deg): 90.00 90.00 90.00
Positions (direct):
K (0.0000, 0.0000, 0.0000)
K (0.0000, 0.5000, 0.0000)
K (0.0649, 0.2500, 0.4818)
K (0.2287, 0.5368, 0.6449)
K (0.2287, 0.9632, 0.6449)
K (0.2713, 0.0368, 0.1449)
K (0.2713, 0.4632, 0.1449)
K (0.4351, 0.7500, 0.9818)
K (0.5000, 0.0000, 0.5000)
K (0.5000, 0.5000, 0.5000)
K (0.5649, 0.2500, 0.0182)
K (0.7287, 0.5368, 0.8551)
K (0.7287, 0.9632, 0.8551)
K (0.7713, 0.0368, 0.3551)
K (0.7713, 0.4632, 0.3551)
K (0.9351, 0.7500, 0.5182)
Sn (0.1617, 0.7500, 0.2626)
Sn (0.3383, 0.2500, 0.7626)
Sn (0.6617, 0.7500, 0.2374)
Sn (0.8383, 0.2500, 0.7374)
Te (0.1648, 0.2500, 0.8732)
Te (0.1659, 0.7500, 0.9360)
Te (0.3341, 0.2500, 0.4360)
Te (0.3352, 0.7500, 0.3732)
Te (0.6648, 0.2500, 0.6268)
Te (0.6659, 0.7500, 0.5640)
Te (0.8341, 0.2500, 0.0640)
Te (0.8352, 0.7500, 0.1268)
Se (0.0842, 0.5550, 0.3555)
Se (0.0842, 0.9450, 0.3555)
Se (0.4158, 0.0550, 0.8555)
Se (0.4158, 0.4450, 0.8555)
Se (0.5842, 0.5550, 0.1445)
Se (0.5842, 0.9450, 0.1445)
Se (0.9158, 0.0550, 0.6445)
Se (0.9158, 0.4450, 0.6445)

Top 10 peaks for 10 to 90 degrees two-theta, most intense first:
| 2θ/deg | d (Å) | Rel. int. |
| --- | --- | --- |
| 13.18 | 6.719 | 100 |
| 26.20 | 3.402 | 86 |
| 27.20 | 3.279 | 85 |
| 39.15 | 2.301 | 56 |
| 33.07 | 2.709 | 47 |
| 37.51 | 2.398 | 44 |
>>>
So much for the calculated crystals =


Seeing Qin Feng's lack of response, Yang He thought he was angry and added, "But rest assured, this time being able to safely return the Dragon Protection Monument, your True Manifestation Of Life Source played an indispensable role. I believe that when the people's illnesses in the city are cured, Lord Zhou will definitely compensate you with something else."


"I'll trust you once more for now," Qin Feng replied.


The group descended from the platform, and Yang He immediately called over a colleague and gave some instructions, and then ordered him to summon all the physicians in the city to the Demon Slayer's Department.


The colleague agreed and rushed away.


Yang He continued, "Lord Si, while there's time, why don't you and I go to the Qiyuan River and take a look?"


"Sure." Si Zheng nodded and asked, "What about you two?"


Qin Feng pondered for a moment and replied, "I'll wait here for the physicians to arrive and take the opportunity to carefully observe the condition of the people infected with the Heart Devouring Gu."


"I'll go with him," Cang Feilan said succinctly.


The commotion caused by the return of the Dragon Protection Monument was significant, and the officials in the governor's mansion naturally felt it immediately.


"Governor Li, the Dragon Protection Monument has returned!" someone exclaimed with joy.


Governor Li Mingxuan nodded, relieved. With this, the only thing to worry about now was the citizens in the city who were infected with the Heart Devouring Gu.


"What's the situation with the families of the patients?" Li Mingxuan asked.


"Reporting to Governor Li, those people are still crying. No matter how we try to persuade them, they refuse to leave," an official said with difficulty.


Someone else added, "There are also some people cursing us and the Demon Slayer's Department for being inactive. Should we send someone to forcefully disperse them?"


Li Mingxuan shook his head at the words. "No need. The Heart Devouring Gu has entered Qiyuan City, and we do bear some responsibility. One of you go and gather all the physicians in the city. Maybe through collective wisdom, we can find a solution to the Heart Devouring Gu disease."


"The official will take care of this immediately." A man stood up, clasped his hands in salute, and quickly left.


The rest of the people looked at each other, still not holding much hope.


"I presume those physicians have already discussed privately. If there were a solution, they wouldn't be in this helpless situation now," an official expressed concern.


Li Mingxuan furrowed his brow. He was well aware of this reasoning.

### What comes next are records of crystals, not part of the article
Starting from a structure optimized by DFT (PBE), the X-ray powder pattern of K2NpFeS4 was computed for Cu Kα X-rays.

Largest 10 diffraction maxima, by angle, 15 to 90 degrees two-theta:
(1 1 0), d = 5.718 Å, I 40.9
(1 0 1), d = 5.620 Å, I 39.1
(0 1 1), d = 5.313 Å, I 98.7
(0 2 0), d = 3.815 Å, I 28.6
(0 0 2), d = 3.701 Å, I 45.2
(2 1 1), d = 3.351 Å, I 100.0
(2 2 1), d = 2.667 Å, I 27.7
(0 2 2), d = 2.656 Å, I 46.7
(2 3 1), d = 2.101 Å, I 25.7
(2 1 3), d = 2.062 Å, I 26.5

Crystal structure
```
16
Lattice="8.635 0.000 0.000 0.000 7.630 0.000 0.000 0.000 7.401" Properties=species:S:1:pos:R:3 pbc="T T T"
K 2.143 1.754 0.000
K 2.175 5.876 3.701
K 6.460 5.876 3.701
K 6.492 1.754 0.000
Np 0.000 6.010 7.242
Np 4.318 1.621 3.542
Fe 0.000 1.489 3.533
Fe 4.318 6.142 7.233
S 0.000 0.160 5.408
S 0.000 7.549 1.868
S 1.916 2.691 3.364
S 2.401 4.939 7.065
S 4.318 0.081 5.569
S 4.318 7.470 1.708
S 6.234 4.939 7.065
S 6.719 2.691 3.364
```

=====

# 1
Structure and computed XRD peak list of Ba3Pb (DFT lattice parameters and positions (GGA-PBE); CuKα).

Crystal structure
```
data_Ba3Pb
_symmetry_space_group_name_H-M 'P -6 m 2'
_symmetry_Int_Tables_number 187
_symmetry_space_group_name_Hall 'P -6 2'
_cell_length_a 4.5386
_cell_length_b 4.5386
_cell_length_c 12.6452
_cell_angle_alpha 90.00
_cell_angle_beta 90.00
_cell_angle_gamma 120.00
loop_
_atom_site_label
_atom_site_type_symbol
_atom_site_fract_x
_atom_site_fract_y
_atom_site_fract_z
Ba1 Ba 0.0000 0.0000 0.0000
Ba2 Ba 0.3333 0.6667 0.3060
Pb1 Pb 0.0000 0.0000 0.5000
```

Principal peaks in the range 2θ from 5° to 70°, in order of rising 2θ:
Position (°2θ)	Rel. int.	hkl
6.99	36.6	0 0 1
22.62	31.8	1 0 0
26.71	100.0	1 0 2
31.11	22.9	1 0 3
36.47	20.3	1 0 4
39.72	28.5	1 1 0
48.51	19.7	2 0 2
49.44	12.2	1 1 4
59.90	10.7	1 1 6
64.43	17.1	2 1 2


# 2
Structure and computed XRD peak list of NdHoCd (DFT lattice parameters and positions (GGA-PBE); CuKα).

Crystal structure
```
data_NdHoCd
_symmetry_space_group_name_H-M 'C m c m'
_symmetry_Int_Tables_number 63
_symmetry_space_group_name_Hall '-C 2c 2'
_cell_length_a 3.7208
_cell_length_b 17.1436
_cell_length_c 5.5418
_cell_angle_alpha 90.00
_cell_angle_beta 90.00
_cell_angle_gamma 90.00
loop_
_atom_site_label
_atom_site_type_symbol
_atom_site_fract_x
_atom_site_fract_y
_atom_site_fract_z
Nd1 Nd 0.0000 0.0868 0.2500
Ho1 Ho 0.0000 0.2277 0.7500
Cd1 Cd 0.0000 0.4252 0.2500
```

Principal peaks in the range 2θ from 5° to 70°, in order of rising 2θ:
Position (°2θ)	Rel. int.	hkl
31.31	22.6	0 6 0
32.31	28.5	0 0 2
32.96	100.0	1 3 1
35.34	7.8	0 6 1
45.61	15.9	0 6 2
48.96	8.8	2 0 0
56.78	10.8	1 9 1
58.03	19.5	1 3 3
59.88	9.6	2 0 2
69.14	9.0	2 6 2

=====

No. 1
Starting from a crystal structure in Alexandria, relaxed with GGA-PBE, the powder X-ray diffraction pattern of BaZrPdS3 was computed for Cu Ka.
Lines closer than 0.1° are merged.

Structure:
```
data_BaZrPdS3
_chemical_formula_sum 'Ba2 Zr2 Pd2 S6'
_cell_length_a 8.0330
_cell_length_b 3.9110
_cell_length_c 9.1883


But doing something was better than sitting here, waiting.


After about the time it takes for an incense stick to burn, the official who had left earlier hurriedly returned, saying, "Reporting to Governor Li, the physicians are not in the medical pavilion; they have all been summoned to the Demon Slaying Department."


"The Demon Slaying Department?" The others were curious.


One person asked, "What are they doing at the Demon Slaying Department? Could it be that they've found a cure?"


The official shook his head, "When I went there, I happened to meet a physician who was about to leave. He told me that the Demon Slaying Department had found someone with exceptional medical skills, and that person had a way to remove the Heart Devouring Gu. Moreover, that person was willing to teach the method to those physicians."


"Is that so?" The officials were excited. "If that's true, it would solve our urgent problem. But would a physician really pass on their medical skills? Could it be a charlatan from the martial world?"


You should know that true skills are not easily passed on, and many keep their knowledge hidden. Even if it's for a substantial amount of gold, masters may not teach their apprentices, let alone someone unrelated.


"Whether it's true or not, we'll know when we go and see." After pondering for a moment, Li Mingxuan stood up and left, and the other officials naturally did not dare to delay, quickly following him.


Qin Feng stepped out of the Demon Slaying Department, returning with Cang Feilan along the same path they came.


After opening his pupils and carefully observing the souls of the people detained, he sighed in relief.


"Fortunately, Lord Zhou detained their souls in time, preventing the Heart Devouring Gu from gnawing at their hearts. Otherwise, the moment the Heart Devouring Gu is removed would be the death sentence for these people."


Qin Feng scanned the crowd, couldn't help but exclaim, "I didn't expect the Hundred Ghosts Dao to reach such a high level, capable of detaining so many souls at once. The control effect is too strong. By the way, Miss Cang, you've stayed at the seventh rank of the Hundred Ghosts Dao for a long time. Have you touched the threshold of the sixth rank?"


At this point, he glanced at Cang Feilan. The dark aura still lingered around her body, but the concentration of that aura had not changed much compared to when they first met. Could it be that her cultivation had slowed down?


Cang Feilan, upon hearing this, replied nonchalantly, "For the Hundred Ghosts Dao Lineage to step into the sixth-rank Soul Confining realm, there are two requirements. First, they need to absorb Yin energy for their own use, and second, they need to find a suitable opportunity. Unfortunately, I have never found that opportunity."


"What exactly is this opportunity?" Qin Feng asked again, genuinely unaware of this aspect.


Although the books he had read before mentioned the names of each realm from the ninth to the fifth rank of the Hundred Ghosts Dao Lineage, they did not specify the conditions required for advancement.


He asked this question with a scholarly learning attitude, seeking knowledge with an open mind.


Unexpectedly, Cang Feilan fell into silence.


"Is it inconvenient to talk about?" Qin Feng asked curiously.


"An opportunity is just an opportunity. Why so many questions?" Cang Feilan frowned slightly, leaving these words behind as she strode forward with long steps.


Qin Feng innocently scratched his head, thinking, "Did I say something wrong just now? Did I make her unhappy?"


Understanding a woman's mind is truly difficult.


The two walked on and off, once again arriving at the place where the members of the Demon Slaying Department intercepted the family members of the patients.


However, this time, unlike before, those gathered family members did not clamor to break through the blockade. Instead, they all turned to look behind, shouting and cursing continuously.


There were even many family members who, from somewhere, found vegetable leaves and eggs, and suddenly threw them towards the back.


Qin Feng approached one of the Demon Slaying Department men and curiously asked, "Brother, what's going on here?"


The Demon Slaying Bureau man replied, "Some colleagues were tasked with bringing city Physicians to gather at the Demon Slaying Department. The Physicians arrived, but when these people saw them, they were filled with indignation and refused to let them in."